**Activity:**
It remains to restate the entries underneath from the first line to the one with "3.439 -3.282" word for word.

**Entries:**
'''
<a>
{"formula": "MgUBi2", "functional": "PBE-GGA", "state": "relaxed", "lattice": [[2.1552, 1.2443, 7.5459], [-2.1552, 1.2443, 7.5459], [0.0000, -2.4886, 7.5459]], "species": ["Mg", "U", "Bi", "Bi"], "frac_coords": [[0.0000, 0.0000, 0.0000], [0.1686, 0.1686, 0.1686], [0.4139, 0.4139, 0.4139], [0.5906, 0.5906, 0.5906]], "total_magnetization_mub_per_fu": 2.15, "vol_a3_per_atom": 30.36, "rho_g_cm3": 9.3}

---

<b>
{"formula": "MgUBi2", "functional": "PBE-GGA", "state": "relaxed", "lattice": [[5.1255, 0.0000, 0.0000], [0.0000, 5.1255, 0.0000], [0.0000, 0.0000, 4.1041]], "species": ["Mg", "U", "Bi", "Bi"], "frac_coords": [[0.0000, 0.0000, 0.0000], [0.5000, 0.5000, 0.0000], [0.0000, 0.5000, 0.5000], [0.5000, 0.0000, 0.5000]], "total_magnetization_mub_per_fu": 2.26, "vol_a3_per_atom": 26.95, "rho_g_cm3": 10.5}

---

<c>
{"formula": "MgUBi2", "functional": "PBE-GGA", "state": "relaxed", "lattice": [[4.0454, 0.0000, 0.0000], [0.0000, 4.0454, 0.0000], [0.0000, 0.0000, 6.7909]], "species": ["Mg", "U", "Bi", "Bi"], "frac_coords": [[0.0000, 0.0000, 0.0000], [0.0000, 0.0000, 0.5000], [0.5000, 0.5000, 0.2521], [0.5000, 0.5000, 0.7479]], "total_magnetization_mub_per_fu": 2.97, "vol_a3_per_atom": 27.78, "rho_g_cm3": 10.2}

---

<d>
{"formula": "MgUBi2", "functional": "PBE-GGA", "state": "relaxed", "lattice": [[2.2609, 1.3053, 6.9581], [-2.2609, 1.3053, 6.9581], [0.0000, -2.6106, 6.9581]], "species": ["Mg", "U", "Bi", "Bi"], "frac_coords": [[0.0000, 0.0000, 0.0000], [0.5000, 0.5000, 0.5000], [0.2526, 0.2526, 0.2526], [0.7474, 0.7474, 0.7474]], "total_magnetization_mub_per_fu": 2.01, "vol_a3_per_atom": 30.80, "rho_g_cm3": 9.2}

---

Quick one: most stable of them? <b>


PBE La3Pm8Pr4, relaxed; ΔH_f (0 K) = 4.7 eV per formula unit; density of states at the Fermi level = 27.9 states/eV per cell; VASP energy = -4.478 eV/atom
1.0
6.879 -6.565 0.000
6.879 6.565 0.000
-3.548 0.000 6.030
La Pm Pr
3 8 4
Cartesian
0.000 0.000 0.000
1.666 3.282 3.015
1.666 -3.282 3.015
5.105 4.668 3.015
1.448 0.000 2.957
-0.222 0.000 5.809
6.879 3.416 0.000
6.879 -3.416 0.000
10.432 0.000 0.221
8.762 0.000 3.073
5.105 -4.668 3.015
3.439 3.282 0.000
3.439 -3.282 0.000
6.879 0.000 0.000
5.105 0.000 3.015



PBE La14PmPr, relaxed; ΔH_f (0 K) = 1.2 eV per formula unit; density of states at the Fermi level = 27.4 states/eV per cell; VASP energy = -4.830 eV/atom
1.0
12.115 0.000 0.000
0.000 5.973 4.004
0.000 -5.973 4.004
La Pm Pr
14 1 1
Cartesian
0.000 0.000 0.000
0.000 0.000 3.486
0.000 -2.648 6.073
0.000 2.648 6.073
3.020 -3.345 4.388
3.015 0.000 2.368
3.020 3.345 4.388
3.091 0.000 5.913
6.057 -2.678 6.085
6.057 2.678 6.085
9.023 0.000 5.913
9.095 -3.345 4.388
9.100 0.000 2.368
9.095 3.345 4.388
6.057 0.000 0.162
6.057 0.000 3.581



PBE La3PmPr, relaxed; ΔH_f (0 K) = 0.6 eV per formula unit; energy relative to the lowest polymorph listed for this composition = 0.00 kJ per mole of atoms; density of states at the Fermi level = 15.8 states/eV per cell; VASP energy = -4.740 eV/atom
1.0
6.688 0.000 0.000
-3.331 5.813 0.000
-0.085 -3.708 9.337
La Pm Pr
6 2 2
Cartesian
-1.061 0.934 2.916
0.247 -1.237 6.422
1.688 0.948 0.362
1.584 1.157 8.975
3.024 3.342 2.914
4.333 1.171 6.421
-0.299 4.393 2.928
3.571 -2.288 6.408
-1.666 2.906 0.000
1.636 1.052 4.668



PBE LaPm4Pr7, relaxed; ΔH_f (0 K) = 0.1 eV per formula unit; energy relative to the lowest polymorph listed for this composition = 0.00 kJ per mole of atoms; density of states at the Fermi level = 19.1 states/eV per cell; VASP energy = -4.771 eV/atom
1.0
6.466 0.000 0.000
-0.002 7.432 0.000
-2.150 -0.002 8.971
La Pm Pr
1 4 7
Cartesian
0.000 0.000 0.000
-0.021 3.716 5.983
1.088 5.558 2.984
3.226 1.873 5.987
4.334 3.714 2.988
-0.001 3.716 0.000
-0.002 0.002 5.983
1.093 1.868 2.994
1.082 1.869 8.966
3.231 5.562 0.005
3.221 5.563 5.977
4.315 7.428 2.987
'''

**Done:**
<a>
{"formula": "MgUBi2", "functional": "PBE-GGA", "state": "relaxed", "lattice": [[2.1552, 1.2443, 7.5459], [-2.1552, 1.2443, 7.5459], [0.0000, -2.4886, 7.5459]], "species": ["Mg", "U", "Bi", "Bi"], "frac_coords": [[0.0000, 0.0000, 0.0000], [0.1686, 0.1686, 0.1686], [0.4139, 0.4139, 0.4139], [0.5906, 0.5906, 0.5906]], "total_magnetization_mub_per_fu": 2.15, "vol_a3_per_atom": 30.36, "rho_g_cm3": 9.3}

---

<b>
{"formula": "MgUBi2", "functional": "PBE-GGA", "state": "relaxed", "lattice": [[5.1255, 0.0000, 0.0000], [0.0000, 5.1255, 0.0000], [0.0000, 0.0000, 4.1041]], "species": ["Mg", "U", "Bi", "Bi"], "frac_coords": [[0.0000, 0.0000, 0.0000], [0.5000, 0.5000, 0.0000], [0.0000, 0.5000, 0.5000], [0.5000, 0.0000, 0.5000]], "total_magnetization_mub_per_fu": 2.26, "vol_a3_per_atom": 26.95, "rho_g_cm3": 10.5}

---

<c>
{"formula": "MgUBi2", "functional": "PBE-GGA", "state": "relaxed", "lattice": [[4.0454, 0.0000, 0.0000], [0.0000, 4.0454, 0.0000], [0.0000, 0.0000, 6.7909]], "species": ["Mg", "U", "Bi", "Bi"], "frac_coords": [[0.0000, 0.0000, 0.0000], [0.0000, 0.0000, 0.5000], [0.5000, 0.5000, 0.2521], [0.5000, 0.5000, 0.7479]], "total_magnetization_mub_per_fu": 2.97, "vol_a3_per_atom": 27.78, "rho_g_cm3": 10.2}

---

<d>
{"formula": "MgUBi2", "functional": "PBE-GGA", "state": "relaxed", "lattice": [[2.2609, 1.3053, 6.9581], [-2.2609, 1.3053, 6.9581], [0.0000, -2.6106, 6.9581]], "species": ["Mg", "U", "Bi", "Bi"], "frac_coords": [[0.0000, 0.0000, 0.0000], [0.5000, 0.5000, 0.5000], [0.2526, 0.2526, 0.2526], [0.7474, 0.7474, 0.7474]], "total_magnetization_mub_per_fu": 2.01, "vol_a3_per_atom": 30.80, "rho_g_cm3": 9.2}

---

Quick one: most stable of them? <b>


PBE La3Pm8Pr4, relaxed; ΔH_f (0 K) = 4.7 eV per formula unit; density of states at the Fermi level = 27.9 states/eV per cell; VASP energy = -4.478 eV/atom
1.0
6.879 -6.565 0.000
6.879 6.565 0.000
-3.548 0.000 6.030
La Pm Pr
3 8 4
Cartesian
0.000 0.000 0.000
1.666 3.282 3.015
1.666 -3.282 3.015
5.105 4.668 3.015
1.448 0.000 2.957
-0.222 0.000 5.809
6.879 3.416 0.000
6.879 -3.416 0.000
10.432 0.000 0.221
8.762 0.000 3.073
5.105 -4.668 3.015
3.439 3.282 0.000
3.439 -3.282 0.000